## Wanted
Now type out only the last part of the rows further below, starting with the line that has "0.033 -0.259".
## Input
~~~
Here is an isolated ion of composition C34H31FP and charge +1 in a non-equilibrium geometry from the OMol25 dataset. Energies are from ωB97M-V with the def2-TZVPD basis set.

Cartesian coordinates (Å):
C  0.43506  -6.61343  2.59312
C  0.57592  -5.16998  2.20476
C  -0.56458  -4.43377  1.86786
C  -0.48863  -3.05722  1.66674
C  0.76327  -2.40221  1.61855
P  0.84893  -0.58165  1.52816
C  0.32229  -0.01574  3.17048
C  0.22080  1.36143  3.46544
C  0.20845  1.79112  4.79318
C  0.22114  0.86914  5.84487
C  0.26157  1.33524  7.27215
C  0.18012  -0.49213  5.55012
C  0.17817  -0.93184  4.22963
C  2.66264  -0.33290  1.52525
C  3.41557  -0.54221  0.33151
C  4.81056  -0.57952  0.37014
C  5.49961  -0.41431  1.57585
C  6.99638  -0.56305  1.62072
C  4.76576  -0.11075  2.72290
C  3.37556  -0.01297  2.69381
C  1.91647  -3.18850  1.82924
C  1.81668  -4.53085  2.18447
H  1.40617  -7.05778  2.82922
H  -0.19576  -6.71576  3.48825
H  -0.02350  -7.19944  1.78444
H  -1.52497  -4.95818  1.81385
H  -1.42060  -2.49921  1.56533
H  0.20426  2.10355  2.66746
H  0.22339  2.85539  5.04492
H  0.17431  0.48095  7.95285
H  1.21175  1.83979  7.50173
H  -0.56378  2.03131  7.48111
H  0.18432  -1.21511  6.36523
H  0.11917  -1.99556  4.00856
H  2.91238  -0.64661  -0.63851
H  5.39043  -0.74916  -0.54350
H  7.37719  -0.36945  2.62539
H  7.30582  -1.58294  1.35828
H  7.50327  0.12892  0.93582
H  5.29536  0.03340  3.66210
H  2.83011  0.29390  3.58279
H  2.89573  -2.72073  1.76921
H  2.71199  -5.08163  2.47345
F  -5.39446  -1.07730  -1.43273
C  -4.19258  -0.88505  -0.77394
C  -3.16864  -1.82263  -0.91285
C  -1.89691  -1.43145  -0.48552
C  -1.66517  -0.21300  0.17901
C  -0.18549  0.22966  0.28586
C  0.15625  1.74556  0.08083
C  1.51631  2.04325  -0.13867
C  1.95761  3.23981  -0.68669
C  1.00311  4.21949  -0.97426
C  -0.35553  3.98956  -0.72285
C  -0.78516  2.74107  -0.22781
C  -2.78323  0.57141  0.48826
C  -4.04626  0.28286  -0.04052
H  -3.36106  -2.79100  -1.38580
H  -1.05810  -2.07256  -0.76481
H  0.19980  -0.24294  -0.63772
H  2.27313  1.28090  0.00426
H  3.02484  3.37062  -0.88591
H  1.32836  5.15994  -1.41604
H  -1.11880  4.75497  -0.92590
H  -1.85719  2.56307  -0.15935
H  -2.68029  1.48747  1.06844
H  -4.85944  1.00583  0.05147

Force components x, y, z for each atom (eV/Å):
0.090 -0.257 0.110
-0.001 0.051 -0.129
0.030 0.267 0.135
-0.013 -0.110 0.014
-0.545 -0.593 -0.249
0.346 -0.684 2.488
-0.554 0.168 0.431
0.423 -0.021 0.138
-0.108 -0.129 -0.192
0.055 -0.021 -0.022
0.021 -0.017 0.263
-0.132 0.014 -0.239
0.539 0.075 -0.297
0.834 0.586 -0.995
0.033 -0.259 0.434
-0.489 0.010 -0.174
-0.083 -0.042 0.131
0.216 0.000 0.150
0.026 -0.007 -0.173
-0.621 -0.357 -0.254
-0.136 0.551 0.103
-0.193 0.154 -0.040
-0.141 0.056 -0.088
0.100 0.045 -0.295
0.082 0.162 0.219
0.277 0.369 0.152
0.385 -0.181 0.033
0.192 -0.174 0.156
-0.133 -0.313 -0.280
-0.025 0.228 -0.099
-0.294 -0.045 -0.113
0.290 -0.161 -0.039
-0.171 0.122 -0.224
0.207 0.187 0.153
0.171 -0.195 0.439
-0.354 0.052 0.275
-0.051 0.033 -0.081
-0.143 0.210 -0.059
-0.199 -0.166 0.080
-0.147 0.125 -0.150
0.132 -0.243 -0.031
-0.155 -0.181 0.103
-0.182 0.131 -0.229
1.392 -0.077 0.949
-1.059 -0.026 -0.512
-0.143 0.420 0.066
-0.295 0.091 -0.478
-0.076 -0.368 -0.034
-0.151 0.408 -1.497
0.201 -0.094 -0.657
0.035 -0.190 -0.304
-0.725 0.032 0.291
-0.119 0.247 -0.008
0.187 -0.428 0.178
0.307 0.184 -0.082
0.074 0.190 0.076
0.434 -0.138 -0.046
0.162 0.531 0.010
-0.200 0.172 0.187
0.153 0.280 0.180
-0.398 0.401 0.022
-0.460 0.108 0.032
-0.169 -0.136 0.129
0.543 -0.377 -0.003
0.561 0.168 -0.052
-0.013 -0.401 -0.049
0.177 -0.435 0.046

Computed properties:
Total charge: +1
HOMO energy: -11.67 eV
E: -47761.5395 eV
LUMO level: -2.51 eV
~~~
## Worked solution
0.033 -0.259 0.434
-0.489 0.010 -0.174
-0.083 -0.042 0.131
0.216 0.000 0.150
0.026 -0.007 -0.173
-0.621 -0.357 -0.254
-0.136 0.551 0.103
-0.193 0.154 -0.040
-0.141 0.056 -0.088
0.100 0.045 -0.295
0.082 0.162 0.219
0.277 0.369 0.152
0.385 -0.181 0.033
0.192 -0.174 0.156
-0.133 -0.313 -0.280
-0.025 0.228 -0.099
-0.294 -0.045 -0.113
0.290 -0.161 -0.039
-0.171 0.122 -0.224
0.207 0.187 0.153
0.171 -0.195 0.439
-0.354 0.052 0.275
-0.051 0.033 -0.081
-0.143 0.210 -0.059
-0.199 -0.166 0.080
-0.147 0.125 -0.150
0.132 -0.243 -0.031
-0.155 -0.181 0.103
-0.182 0.131 -0.229
1.392 -0.077 0.949
-1.059 -0.026 -0.512
-0.143 0.420 0.066
-0.295 0.091 -0.478
-0.076 -0.368 -0.034
-0.151 0.408 -1.497
0.201 -0.094 -0.657
0.035 -0.190 -0.304
-0.725 0.032 0.291
-0.119 0.247 -0.008
0.187 -0.428 0.178
0.307 0.184 -0.082
0.074 0.190 0.076
0.434 -0.138 -0.046
0.162 0.531 0.010
-0.200 0.172 0.187
0.153 0.280 0.180
-0.398 0.401 0.022
-0.460 0.108 0.032
-0.169 -0.136 0.129
0.543 -0.377 -0.003
0.561 0.168 -0.052
-0.013 -0.401 -0.049
0.177 -0.435 0.046

Computed properties:
Total charge: +1
HOMO energy: -11.67 eV
E: -47761.5395 eV
LUMO level: -2.51 eV